Texas Insider Report: AUSTIN Texas While Austin ISD trustees will decide whether to hold a November election asking voters for permission to raise the tax rate by up to 5 cents per $100 of assessed value to fund district operations Monday night the Austin Chamber of Commerce continues to ask trustees to adopt greater efficiencies and certainly not dig a deeper fiscal hole before considering a tax rate election.
The board will also vote on an additional tax increase of 2.5 cents per $100 of assessed value tax to cover district debt payments on previously approved bonds.
The 2.5-cent tax increase does not require voter approval according to district officials.
'''
No. 1
Computed, not measured: SnTe2HI after structural relaxation at the PBE level of DFT.

Summary:
Uncorrected energy (eV for the cell shown): -11.7
Fermi-level density of states (states/eV/cell): 7.59
Excess energy over the best structure of this formula in the dataset (eV per atom): 0.443
Total magnetization (μB per cell): 0.4
Space group: P4/mmm, No. 123

Lattice parameters (Å, degrees): 5.7707 5.7707 6.1506 90.00 90.00 90.00
Last column: magnetic moment on the atom in μB.
Element x y z (fractional)
I  0.0000  0.0000  0.5000  -0.06
H  0.5000  0.5000  0.5000  0.37
Te  0.0000  0.5000  0.0000  -0.14
Te  0.5000  0.0000  0.0000  -0.14
Sn  0.0000  0.0000  0.0000  0.01

---

No. 2
Computed, not measured: SnTe2HI after structural relaxation at the PBE level of DFT.

Summary:
Uncorrected energy (eV for the cell shown): -13.9
Fermi-level density of states (states/eV/cell): 1.17
Excess energy over the best structure of this formula in the dataset (eV per atom): 0.000
Total magnetization (μB per cell): 0.0
Space group: P4/mmm, No. 123

Lattice parameters (Å, degrees): 4.5640 4.5640 6.3838 90.00 90.00 90.00
Element x y z (fractional)
I  0.0000  0.0000  0.5000
H  0.0000  0.0000  0.0000
Te  0.0000  0.5000  0.0000
Te  0.5000  0.0000  0.0000
Sn  0.5000  0.5000  0.5000

---

No. 3
Computed, not measured: SrHI after structural relaxation at the PBE level of DFT.

Summary:
Uncorrected energy (eV for the cell shown): -18.1
Total magnetization (μB per cell): 0.0
Space group: I4/mmm, No. 139

Lattice parameters (Å, degrees): 5.1577 5.1579 7.7657 70.60 70.61 90.00
Element x y z (fractional)
Sr  0.2429  0.1830  0.4312
Sr  0.5656  0.5058  0.7858
H  0.1542  0.5947  0.6085
H  0.6543  0.0945  0.6085
I  0.4042  0.8442  0.1085
I  0.9042  0.3442  0.1085

---

No. 4
Computed, not measured: SrHI2 after structural relaxation at the PBE level of DFT.

Summary:
Uncorrected energy (eV for the cell shown): -20.9
Fermi-level density of states (states/eV/cell): 0.00
Total magnetization (μB per cell): 2.0
Space group: I-42d, No. 122

Lattice parameters (Å, degrees): 6.9292 6.9292 9.4834 68.57 68.57 90.00
Last column: magnetic moment on the atom in μB.
Element x y z (fractional)
I  0.6258  0.1250  0.2500  0.04
I  0.1242  0.6250  0.2500  0.04
I  0.3750  0.3742  0.7500  0.04
I  0.8750  0.8758  0.7500  0.04
Sr  0.0000  0.0000  0.0000  0.00
Sr  0.7500  0.2500  0.5000  0.00
H  0.5000  0.5000  0.0000  0.36
H  0.2500  0.7500  0.5000  0.36

---

No. 5
Computed, not measured: SrHI after structural relaxation at the PBE level of DFT.

Summary:
Uncorrected energy (eV for the cell shown): -9.0
Fermi-level density of states (states/eV/cell): 0.00
Total magnetization (μB per cell): 0.0
Space group: I4mm, No. 107

Lattice parameters (Å, degrees): 3.8136 3.8136 6.2299 107.82 107.82 90.00
Element x y z (fractional)
I  0.0115  0.0115  0.0230
Sr  0.7138  0.7138  0.4276
H  0.2747  0.2747  0.5494

---

No. 6
Computed, not measured: SrHI2 after structural relaxation at the PBE level of DFT.

Summary:
'''
On Monday the Chamber will again ask trustees to dedicate themselves to cutting deeper in order to reallocate money to fund the programs that will result in the higher graduation college/career readiness and post-secondary enrollment rate goals outlined in the districts strategic plan.
All trustees would benefit from hearing your views on a potential tax rate election in particular Trustees Sam Guzman Annette Lovoi Tamala Barksdale Lori Moya and Robert Schneider. The Chamber would appreciate your advice and your willingness to contact Trustees in advance of Mondays vote.
Judging by the discussion at last nights school board meeting and discussions at past board meetings heres where the trustees seem to stand on a November tax rate election:
Standing firm against the five-cent tax increase: President Mark Williams Vice President Vincent Torres Cheryl Bradley and Christine BristerStrongly in favor of the five-cent tax increase: Tamara Barksdale and Sam GuzmanPreviously said they would support the five-cent tax increase: Secretary Lori Moya and Annette LoVoiPreviously said he would support the five-cent tax increase if the districts house is in order": Robert Schneider
Dr. Carstarphen has not taken a public position on the five-cent tax increase as of this writing.
Last night Sam Guzman said that he will propose the five-cent tax increase on Monday regardless of the superintendents position. If that motion fails he will propose that the district spend up to $22 million into fund balance to fund additional teacher salary increases beyond the small increase already included in the budget as well as other currently unfunded programs.
This motion if adopted would not represent fiscal stewardship could reduce Austin ISDs bond rating (which increases future borrowing costs) and will create an even deeper fiscal hole trustees will have to dig out of next year before even starting to fund key strategic plan priorities.
Next to the text, the page also holds crystal structures =
____________
# 1
# ScMo2 (PBE, relaxed)
# energy of formation from the pure elements = 4.4 eV/f.u.
# SG = Fm-3m (225)
# density of states at the Fermi level = 3.198 states/eV/cell
data_ScMo2
_chemical_formula_sum 'Sc1 Mo2'
_cell_length_a 4.3650
_cell_length_b 4.3650
_cell_length_c 4.3650
_cell_angle_alpha 60.00
_cell_angle_beta 60.00
_cell_angle_gamma 60.00
_space_group_name_H-M_alt 'P 1'
_space_group_IT_number 1
loop_
_space_group_symop_operation_xyz
'x,y,z'
loop_
_atom_site_label
_atom_site_fract_x
_atom_site_fract_y
_atom_site_fract_z
_atom_site_occupancy
Mo1 0.7500 0.7500 0.7500 1
Mo2 0.2500 0.2500 0.2500 1
Sc1 0.0000 0.0000 0.0000 1

---

# 2
# ScMo2 (PBE, relaxed)
# energy of formation from the pure elements = 0.9 eV/f.u.
# SG = Cmcm (63)
# density of states at the Fermi level = 4.641 states/eV/cell
data_ScMo2
_chemical_formula_sum 'Sc2 Mo4'
_cell_length_a 8.4381
_cell_length_b 8.4381
_cell_length_c 4.6480
_cell_angle_alpha 90.00
_cell_angle_beta 90.00
_cell_angle_gamma 161.64
_space_group_name_H-M_alt 'P 1'
_space_group_IT_number 1
loop_
_space_group_symop_operation_xyz
'x,y,z'
loop_
_atom_site_label
_atom_site_fract_x
_atom_site_fract_y
_atom_site_fract_z
_atom_site_occupancy
Sc1 0.3794 0.6206 0.7500 1
Sc2 0.6206 0.3794 0.2500 1
Mo1 0.7121 0.2879 0.7500 1
Mo2 0.9575 0.0425 0.2500 1
Mo3 0.0425 0.9575 0.7500 1
Mo4 0.2879 0.7121 0.2500 1

---

# 3
# Sc3Mo (PBE, relaxed)
# energy of formation from the pure elements = 0.7 eV/f.u.
# SG = P2/m (10)
# density of states at the Fermi level = 6.052 states/eV/cell
data_Sc3Mo
_chemical_formula_sum 'Sc3 Mo1'
_cell_length_a 3.0743
_cell_length_b 4.6148
_cell_length_c 6.0826
_cell_angle_alpha 90.00
_cell_angle_beta 75.61
_cell_angle_gamma 90.00
_space_group_name_H-M_alt 'P 1'
_space_group_IT_number 1
loop_
_space_group_symop_operation_xyz
'x,y,z'
loop_
_atom_site_label
_atom_site_fract_x
_atom_site_fract_y
_atom_site_fract_z
_atom_site_occupancy
Mo1 0.0000 0.0000 0.0000 1
Sc1 0.8282 0.5000 0.7747 1
Sc2 0.5000 0.0000 0.5000 1
Sc3 0.1718 0.5000 0.2253 1

---

# 4
# Sc2MoSe (PBE, relaxed)
# uncorrected formation energy = -223 meV per atom
# SG = P4mm (99)
# density of states at the Fermi level = 3.666 states/eV/cell
data_Sc2MoSe
_chemical_formula_sum 'Sc2 Mo1 Se1'
_cell_length_a 3.6901
_cell_length_b 3.6893
_cell_length_c 5.8414
_cell_angle_alpha 90.00
_cell_angle_beta 90.00
_cell_angle_gamma 90.00
_space_group_name_H-M_alt 'P 1'
_space_group_IT_number 1
loop_
_space_group_symop_operation_xyz
'x,y,z'
loop_
_atom_site_label
_atom_site_fract_x
_atom_site_fract_y
_atom_site_fract_z
_atom_site_occupancy
Mo1 0.5000 0.5000 0.8095 1
Sc1 0.0000 0.0000 0.9595 1
Sc2 0.5000 0.5000 0.2811 1
Se1 0.0000 0.0000 0.4499 1

---

# 5
# ScMo4Se (PBE, relaxed)
# uncorrected formation energy = 318 meV per atom
# SG = F-43m (216)
# density of states at the Fermi level = 6.871 states/eV/cell
data_ScMo4Se
_chemical_formula_sum 'Sc1 Mo4 Se1'
_cell_length_a 5.3355
_cell_length_b 5.3355
_cell_length_c 5.3355
_cell_angle_alpha 60.00
____________
Gene Austin Chamber board member and CEO of software company Convio Inc. told trustees last night that the Chamber is enthusiastic about Austin ISDs positive direction and strongly supportive of the district accomplishing the goals of its strategic plan. Austin recommended that trustees work on further financial efficiencies before talking with voters about a higher tax rate. The Austin Austin Asian American and Capital City African American chambers have all asked the trustees to balance the FY11 budget and fund the strategic plan.
Hispanic Chamber of Commerce Board Chair Pilar Sanchez and President/CEO Andy Martinez asked trustees to demonstrate further efficiencies before seeking a tax increase" and limit…use of the reserve fund" in a statement Sanchez gave last night. They also asked trustees to adhere to the strategic plan continue recent positive changes and aggressively pursue funding from external sources. (Read the full statement.)
Charlie Betts from the Downtown Austin Alliance also spoke in opposition to the five-cent tax rate increase last night.
In closing comments to last nights board meeting Austin ISD Board President Mark Williams cited business concerns among many others about supporting a tax rate election as a compelling reason to get Austin ISDs house in order before approaching voters about a tax increase.
Please contact
dscheberle@austinchamber.com with any questions or comments.
This information is forwarded to you by the TCRP Local Issues Committee Roger Borgelt Chairman